Powering Strong Communities


Public power utilities have a long-standing commitment to both workplace and public safety, with the goal of zero injuries in their communities.

eSafety Tracker

In June 2024, APPA released a new version of the eSafety Tracker, developed with input from public power safety professionals. This new tool helps public power utilities manage safety programs, training, inspections, and incident reporting in a single platform. It also includes online and offline access to the APPA Safety Manual and other key content through a mobile app.

A handful of APPA members piloted the new tracker in early 2024. Based on their feedback, the system was further enhanced and refined to focus on the needs of public power utilities. The article "Consistent Tracking Improves Safety" (Public Power Magazine, March 2024) details how the pilot utilities planned to use the eSafety Tracker to organize their safety and training programs. 

~~~
{
  "formula": "C60H76As2BrKN3S2SbSi3",
  "method": "ωB97M-V/def2-TZVPD",
  "species": ["K", "C", "C", "C", "C", "N", "C", "C", "C", "C", "C", "C", "N", "C", "C", "C", "C", "C", "N", "H", "H", "H", "H", "H", "H", "H", "H", "H", "H", "H", "S", "C", "C", "C", "C", "C", "C", "As", "C", "C", "C", "C", "C", "C", "C", "C", "C", "C", "C", "C", "H", "H", "H", "H", "H", "H", "H", "H", "H", "H", "H", "H", "H", "H", "C", "Si", "C", "C", "As", "Si", "C", "C", "C", "Si", "C", "C", "C", "H", "H", "H", "H", "H", "H", "H", "H", "H", "H", "H", "H", "H", "H", "H", "H", "H", "H", "H", "H", "H", "H", "H", "H", "H", "H", "H", "C", "C", "Sb", "C", "C", "C", "C", "H", "H", "H", "H", "H", "H", "H", "H", "H", "H", "H", "H", "H", "H", "H", "Br", "C", "C", "C", "C", "C", "C", "H", "H", "H", "H", "S", "C", "C", "C", "C", "C", "C", "H", "H", "H", "H", "H"],
~~~

For additional information on the new system, please visit our eSafety Tracker information page.

Safety Manual

The American Public Power Association’s Safety Manual is the premier source for safety compliance information for electric utility safe work practices. Updated in 2023 by APPA’s Safety Manual Revision Task Force, the 17th edition features more than 200 changes, including the latest Occupational Safety and Health Administration (OSHA) and National Electrical Safety Code (NESC) updates and new sections on topics such as communications and switching.  

Safety Manual Interpretation Requests and Change Proposals

The SMRT Force welcomes questions to ensure the correct implementation of safety standards. If you have any questions about the Safety Manual, you may submit an interpretation request. Address only one topic per request. Should you have questions on multiple topics, submit a separate request for each topic. Please allow up to four weeks for your request to be processed. If a change proposal references documents that are not readily available to the SMRT Force, the submitter shall upload materials referenced to supply the SMRT Force.

Submit a change for the 18th Edition Safety Manual (to be published in 2028). All proposed changes will be considered by the SMRT Force.

Safety Awards of Excellence

Applications for APPA's 2024 Safety Awards will open in January 2025.

APPA's annual Safety Awards of Excellence offer Diamond- and Gold-level designations based on a numeric scoring system. Please review the Safety Awards of Excellence Guidebook for additional details and information before applying. 

145 public power utilities were awarded for their incident rates and safety programs in 2023. 

Calculated molecules from another source follow =
/*
The following is a DFT calculation (ωB97M-V/def2-TZVPD) of a structure of composition C36H109CaN18O7P6.

As for the total charge: +1. The LUMO energy comes out at -3.2 eV. Its gap between HOMO and LUMO is 6.65 eV. As for the energy: -5675.33526 hartree.

Cartesian coordinates (Å):
Ca  -1.149  2.639  -1.419
O  -0.630  0.918  -0.319
H  -0.075  0.209  0.019
O  -3.953  -3.430  -2.741
P  -4.084  -3.735  -1.301
N  -5.511  -3.199  -0.645
C  -5.837  -3.400  0.756
C  -6.650  -3.069  -1.540
N  -2.955  -2.994  -0.341
C  -1.586  -3.463  -0.512
C  -3.155  -1.588  0.005
N  -3.873  -5.320  -0.955
C  -3.652  -5.846  0.378
C  -4.083  -6.331  -2.006
H  -4.976  -3.197  1.389
H  -6.185  -4.423  0.942
H  -6.656  -2.723  1.002
H  -6.397  -2.460  -2.410
H  -7.493  -2.585  -1.048
H  -6.987  -4.032  -1.949
H  -0.893  -2.776  -0.028
H  -1.424  -4.447  -0.073
H  -1.300  -3.498  -1.570
H  -2.253  -1.194  0.456
H  -3.313  -1.050  -0.944
H  -4.078  -1.477  0.568
H  -2.801  -6.533  0.389
H  -3.358  -5.045  1.059
H  -4.560  -6.318  0.764
H  -5.155  -6.478  -2.165
H  -3.579  -7.240  -1.692
H  -3.683  -5.963  -2.949
O  -1.825  1.688  -3.411
P  -1.579  0.736  -4.535
N  -0.363  -0.340  -4.347
C  -0.539  -1.408  -3.374
C  1.019  0.098  -4.536
N  -1.240  1.566  -5.915
C  -0.850  0.892  -7.145
C  -1.701  2.947  -6.046
N  -2.936  -0.152  -4.826
C  -4.118  0.034  -3.985
C  -2.930  -1.423  -5.549
H  -1.589  -1.681  -3.269
H  -0.216  -1.111  -2.369
H  0.012  -2.300  -3.675
H  1.355  0.780  -3.750
H  1.133  0.539  -5.525
H  1.650  -0.794  -4.551
H  -1.745  0.584  -7.708
H  -0.296  1.563  -7.800
H  -0.310  -0.027  -6.936
H  -1.808  3.203  -7.097
H  -2.690  3.062  -5.594
H  -1.027  3.648  -5.553
H  -3.997  -0.465  -3.016
H  -4.327  1.095  -3.856
H  -5.000  -0.400  -4.453
H  -2.664  -2.240  -4.874
H  -2.192  -1.426  -6.350
H  -3.904  -1.609  -5.992
O  0.762  2.806  -2.638
P  2.035  3.585  -2.570
N  3.088  3.103  -1.425
C  2.551  3.058  -0.056
C  4.208  2.196  -1.684
N  1.734  5.183  -2.229
C  0.781  5.810  -3.118
C  2.693  6.079  -1.632
N  2.854  3.487  -3.993
C  4.100  4.226  -4.218
C  2.172  3.174  -5.236
H  1.674  2.404  0.016
H  2.249  4.066  0.249
H  3.310  2.734  0.650
H  4.827  2.145  -0.789
H  4.837  2.552  -2.489
H  3.871  1.178  -1.907
H  -0.111  5.208  -3.299
H  0.464  6.769  -2.705
H  1.211  6.027  -4.107
H  2.191  6.993  -1.311
H  3.099  5.660  -0.711
H  3.520  6.333  -2.300
H  4.578  4.474  -3.274
H  4.761  3.588  -4.804
H  3.898  5.164  -4.745
H  2.782  2.553  -5.900
H  1.886  4.081  -5.775
H  1.310  2.541  -5.018
O  -0.374  -3.126  5.719
P  -1.508  -2.225  5.491
N  -1.504  -1.640  3.938
C  -2.493  -0.741  3.411
C  -0.566  -2.144  2.954
N  -1.516  -0.951  6.532
C  -2.542  0.054  6.558
C  -0.315  -0.700  7.307
N  -3.036  -2.796  5.665
C  -3.609  -2.982  6.990
C  -3.658  -3.571  4.600
H  -3.442  -0.821  3.948
H  -2.696  -0.948  2.364
H  -2.211  0.319  3.489
H  -0.243  -1.323  2.298
H  -1.012  -2.898  2.293
H  0.327  -2.529  3.440
H  -2.585  0.545  7.532
H  -2.348  0.860  5.831
*/

Every year, APPA releases a safety benchmarking report with tabular and graphical evaluations of the data submitted to the Safety Awards of Excellence. View a copy of the 2022 Safety Awards of Excellence Annual Report. (The 2023 report will be made available soon.)

NESC 2028 Revision Cycle

The National Electrical Safety Code sets rules and guidelines for the installation, operation, and maintenance of electric supply, communication lines, and associated equipment to safeguard workers and the public. The NESC gets revised on a five-year cycle based on a formal process of gathering feedback from across the industry. The Public Power Standards Representatives Taskforce (formerly the Industrial Standards Committee) is the opportunity for public power systems to ensure these requirements adhere to public power safety standards and are economically feasible. The PPSRT reviews existing standards, proposes changes, and establishes positions on code change proposals consistent with the interests of APPA member systems.

Learn more about the PPSRT and how to participate in the NESC revision process. 

More Safety Resources

Have a safety question to ask of other utilities? Join the safety community group to ask questions, get answers, and share best practices and resources. Email Membership@PublicPower.org to request to join.